CSUN will be returning to an in-person event in 2022, hosted again in Anaheim California this event is typically one of the largest assistive technology conferences in the world, with multitrack presentations on a diverse range of topics and a large exhibition space.
Sight Tech Global
This free virtual conference is dedicated to fostering discussion among technology pioneers on how rapid advances in AI and related technologies will fundamentally alter the landscape of assistive technology and accessibility, creating a more accessible world for people with blindness and visual impairments.
World Blindness Summit 2021
With over 100 of the world's leading experts and organizations speaking and 190 countries participating this summit offers an exciting 3 days of events, presentations, gatherings and opportunity for networking. Registration is free and allows you to attend up to 50 interesting online conferences and webinars.
NFB Annual Convention 2021
The National Federation of the Blind National Convention is the largest gathering of blind people in the world. It is the premier event for training, support, and information for the blind community. It also serves as a governing body, democratically electing their leadership and establishing each year's organizational priorities.
Accessibility in Publishing
This presentation is to be given at the Council of Science Editors (CSE) Annual Meeting which is open to members and non-members. DAISY Chief Innovations Officer, George Kerscher, will be presenting alongside colleagues Bill Kasdorf and Brad Turner (Benetech) and the session is to be moderated by Leslie Walker (American Chemical Society). Aimed at publishing
Include! The Nordic Online Conference on Inclusive Publishing
This conference connects international speakers with key participants from the Nordic world of reading and inclusion, to encourage collaboration and knowledge sharing on inclusive publishing. The NIPI network wants to promote the market’s own efforts on inclusive publishing and initiate areas of collaboration. This conference is an opportunity for constructive dialogue among key contributors to
M-Enabling Summit 2020
The M-Enabling Summit is one of the leading events covering the fast-moving technology innovations that enable seniors and persons with disabilities to access digital content and services in new ways. This three day conference and exhibition always hosts discussion of cutting edge topics by respected industry leaders.
Attached: crystal structures.
********
1.
The following is a DFT calculation (GGA-PBE) of a relaxed structure of TlP2SeS8.

```
12
Lattice="2.969 1.714 9.595 -2.969 1.714 9.595 0.000 -3.428 9.595" Properties=species:S:1:pos:R:3 pbc="T T T"
Tl 0.000 0.000 0.000
P 0.000 0.000 6.930
P 0.000 0.000 21.856
Se 0.000 0.000 14.393
S -2.020 0.042 12.817
S -1.046 -1.728 15.970
S 0.000 0.000 8.933
S 0.974 -1.770 12.817
S -0.974 1.770 15.970
S 0.000 0.000 19.853
S 1.046 1.728 12.817
S 2.020 -0.042 15.970
```

Results
- Density of states at the Fermi level: 10.24 states/eV/f.u.
- Symmetry: R-3, No. 148
- ΔE_f (raw): 37 meV per atom

2.
The following is a DFT calculation (GGA-PBE) of a relaxed structure of Tm6P2SeS3.

```
12
Lattice="8.517 -1.953 0.000 8.517 1.953 0.000 -1.742 0.000 7.627" Properties=species:S:1:pos:R:3 pbc="T T T"
Tm -0.389 0.000 2.027
Tm 4.002 0.000 6.894
Tm 4.897 0.000 3.214
Tm 10.395 0.000 4.413
Tm 11.290 0.000 0.733
Tm 15.680 0.000 5.600
P 2.258 0.000 2.540
P 13.034 0.000 5.087
Se 8.517 0.000 0.000
S 1.328 0.000 6.365
S 7.646 0.000 3.813
S 13.964 0.000 1.262
```

Results
- Density of states at the Fermi level: 3.48 states/eV/f.u.
- Symmetry: C2/m, No. 12
- ΔE_f (raw): -1837 meV per atom

3.
The following is a DFT calculation (GGA-PBE) of a relaxed structure of Tm6P3Se2S.

```
12
Lattice="8.657 -1.972 0.000 8.657 1.972 0.000 -1.921 0.000 7.716" Properties=species:S:1:pos:R:3 pbc="T T T"
Tm -0.384 0.000 1.898
Tm 4.916 0.000 3.316
Tm 4.128 0.000 6.969
Tm 11.264 0.000 0.747
Tm 10.476 0.000 4.399
Tm 15.776 0.000 5.818
P 2.257 0.000 2.584
P 8.657 0.000 0.000
P 13.135 0.000 5.132
Se 1.279 0.000 6.435
Se 14.113 0.000 1.281
S 7.696 0.000 3.858
```

Results
- Density of states at the Fermi level: 4.02 states/eV/f.u.
- Symmetry: C2/m, No. 12
- ΔE_f (raw): -1770 meV per atom

4.
The following is a DFT calculation (GGA-PBE) of a relaxed structure of Tm4P2SeS.

```
8
Lattice="-2.783 2.783 5.591 2.783 -2.783 5.591 2.783 2.783 -5.591" Properties=species:S:1:pos:R:3 pbc="T T T"
Tm 2.783 0.000 0.062
Tm 0.000 0.000 2.692
Tm 2.783 0.000 5.529
Tm 0.000 0.000 8.490
P 0.000 0.000 0.000
P 2.783 0.000 2.795
Se 0.000 0.000 5.591
S 0.000 2.783 2.795
```

Results
- Density of states at the Fermi level: 2.51 states/eV/f.u.
- Symmetry: I-4m2, No. 119
- ΔE_f (raw): -1780 meV per atom

5.
The following is a DFT calculation (GGA-PBE) of a relaxed structure of Tm4PSe2S.

```
8
Lattice="6.799 0.000 0.000 0.000 3.936 0.000 -2.272 0.000 6.573" Properties=species:S:1:pos:R:3 pbc="T T T"
Tm 1.108 0.000 1.475
Tm -0.028 1.968 5.098
Tm 4.556 1.968 1.475
Tm 3.419 0.000 5.098
P 0.000 1.968 0.000
Se -1.136 0.000 3.287
Se 2.264 1.968 3.287
S 3.400 0.000 0.000
```

Results
- Density of states at the Fermi level: 2.83 states/eV/f.u.
- Symmetry: P2/m, No. 10
- ΔE_f (raw): -1787 meV per atom

6.
The following is a DFT calculation (GGA-PBE) of a relaxed structure of Tm4PSeS2.

```
8
Lattice="6.739 0.000 0.000 0.000 3.904 0.000 -2.254 0.000 6.459" Properties=species:S:1:pos:R:3 pbc="T T T"
Tm 1.099 0.000 1.485
********
Tactile Reading 2021
== These crystal structures were left in the text by mistake ==
## Li2IrW (PBE)

Data for a geometry-optimized Li2IrW structure.

Output
The formation energy is 0.1976 eV per atom. The value obtained for the final energy is -49.7 eV for the cell shown. The value obtained for the total magnetization is 0.000 μB/f.u.

Cell: 3.6054 3.6054 9.2003 Å, 90.00 90.00 90.00°
With the nearest neighbours (Å) after each atom.
Space group I4/mmm (No. 139)
Asymmetric unit:
1 Li 0.0000 0.5000 0.2500 [4 per cell]  4 Li 2.55
2 Ir 0.0000 0.0000 0.0000 [2 per cell]  4 W 2.55
3 W 0.0000 0.0000 0.5000 [2 per cell]  4 Ir 2.55


## K3BaPd8 (PBE)

Data for a geometry-optimized K3BaPd8 structure.

Output
The formation energy is -0.1895 eV per atom. The value obtained for the final energy is -147.1 eV for the cell shown. The value obtained for the total magnetization is 0.000 μB/f.u.

Cell: 5.6418 5.6418 27.6283 Å, 90.00 90.00 120.00°
With the nearest neighbours (Å) after each atom.
Space group R3m (No. 160, hexagonal axes)
Asymmetric unit:
1 K 0.0000 0.0000 0.0000 [3 per cell]  12 Pd 3.30-3.32, 4 K 3.38-3.42
2 K 0.0000 0.0000 0.1222 [3 per cell]  12 Pd 3.26-3.39, 1 K 3.38, 3 Ba 3.49
3 K 0.0000 0.0000 0.6288 [3 per cell]  12 Pd 3.24-3.35, 3 K 3.42, 1 Ba 3.52
4 Ba 0.0000 0.0000 0.5014 [3 per cell]  12 Pd 3.30-3.32, 4 K 3.49-3.52
5 Pd 0.0000 0.0000 0.3131 [3 per cell]  6 Pd 2.82
6 Pd 0.0000 0.0000 0.8131 [3 per cell]  6 Pd 2.82
7 Pd 0.0008 0.5004 0.0634 [9 per cell]  6 Pd 2.81-2.83
8 Pd 0.1671 0.3342 0.8964 [9 per cell]  6 Pd 2.81-2.83


## ZrCrSb3 (PBE)

Data for a geometry-optimized ZrCrSb3 structure.

Output
As for the offset from the most stable computed form: 0.0 kJ per mole of atoms. As for the uncorrected formation energy: 0.55 eV per atom. The value obtained for the final energy is -27.8 eV for the cell shown. The value obtained for the total magnetization is 3.686 μB/f.u.

Cell: 5.0762 5.0762 5.0762 Å, 90.00 90.00 90.00°
With the nearest neighbours (Å) after each atom.
Space group Pm-3m (No. 221)
Asymmetric unit:
1 Zr 0.0000 0.0000 0.0000 [1 per cell]  12 Sb 3.59
2 Cr 0.5000 0.5000 0.5000 [1 per cell]  6 Sb 2.54
3 Sb 0.0000 0.5000 0.5000 [3 per cell]  2 Cr 2.54


## TlInGaSe3 (PBE)

Data for a geometry-optimized TlInGaSe3 structure.

Output
As for the uncorrected formation energy: -0.44 eV per atom. The value obtained for the final energy is -42.5 eV for the cell shown. The value obtained for the total magnetization is 0.000 μB/f.u.

Cell: 8.5987 4.2974 9.9206 Å, 90.00 106.07 90.00°
With the nearest neighbours (Å) after each atom.
Space group P2_1/m (No. 11)
Asymmetric unit:
1 Tl 0.2220 0.2500 0.2342 [2 per cell]  5 Se 3.18-3.51
2 In 0.3359 0.7500 0.8859 [2 per cell]  5 Se 2.73-2.93
3 Ga 0.0887 0.2500 0.6189 [2 per cell]  4 Se 2.43-2.55
4 Se 0.0997 0.2500 0.8666 [2 per cell]  1 Ga 2.43
5 Se 0.1980 0.7500 0.5442 [2 per cell]  3 Ga 2.54-2.55
6 Se 0.4655 0.7500 0.1705 [2 per cell]  3 In 2.73-2.89


## Tb3ZrH (PBE)

Data for a geometry-optimized Tb3ZrH structure.

Output
== So much for the crystal structures ==
This is the 2nd Tactile Reading conference, which this year will be held online, focusing on braille and graphics, including digital aids for braille reading and the use of 3D-printed material. The themes will include early intervention and education for children, youth, and adults within the field of tactile reading. A pre-conference event will be
World Blindness Summit
This event has now been postponed, details of the rescheduled event will be shared when available. The Joint General Assemblies of the World Blind Union (WBU) and the International Council for Education of People with Visual Impairment (ICEVI) will be held in Madrid, Spain in the World Blindness Summit, a global meeting organized in Spain
(Records of crystals that have nothing to do with the page)
+++
A plane-wave DFT calculation with GGA+U was carried out for a relaxed LiFe2P5O16 crystal.

Unit cell a=6.763 b=5.090 c=18.987 alpha=90.26 beta=90.00 gamma=90.00
Site moments in Bohr magnetons follow the coordinates.
Element x y z (fractional)
Li 0.447 0.331 0.484  0.00
Li 0.553 0.331 0.984  0.00
Fe 0.172 0.252 0.906  4.42
Fe 0.179 0.743 0.592  4.42
Fe 0.828 0.252 0.406  4.42
Fe 0.821 0.743 0.092  4.42
P 0.868 0.228 0.576  0.02
P 0.468 0.253 0.633  0.01
P 0.257 0.992 0.749  0.01
P 0.467 0.747 0.868  0.01
P 0.132 0.228 0.076  0.02
P 0.532 0.253 0.133  0.01
P 0.743 0.992 0.249  0.01
P 0.868 0.762 0.921  0.01
P 0.132 0.762 0.421  0.01
P 0.533 0.747 0.368  0.01
O 0.934 0.047 0.930  0.09
O 0.382 0.959 0.914  0.06
O 0.946 0.949 0.569  0.08
O 0.761 0.653 0.987  0.06
O 0.243 0.317 0.009  0.06
O 0.627 0.064 0.081  0.05
O 0.054 0.949 0.069  0.08
O 0.573 0.538 0.117  0.06
O 0.980 0.422 0.104  0.07
O 0.300 0.212 0.138  0.02
O 0.858 0.846 0.194  0.06
O 0.587 0.188 0.213  0.00
O 0.600 0.782 0.287  0.01
O 0.854 0.148 0.304  0.07
O 0.300 0.778 0.359  0.02
O 0.975 0.581 0.391  0.08
O 0.570 0.465 0.390  0.05
O 0.618 0.959 0.414  0.06
O 0.066 0.047 0.430  0.09
O 0.025 0.581 0.891  0.08
O 0.757 0.317 0.509  0.06
O 0.373 0.064 0.581  0.05
O 0.239 0.653 0.487  0.06
O 0.427 0.538 0.617  0.06
O 0.020 0.422 0.604  0.07
O 0.700 0.212 0.638  0.02
O 0.142 0.846 0.694  0.06
O 0.413 0.188 0.713  0.00
O 0.400 0.782 0.787  0.01
O 0.146 0.148 0.804  0.07
O 0.700 0.778 0.859  0.02
O 0.430 0.465 0.890  0.05

SG: Pc
V (Å³ per cell): 653.6
Total DFT energy (no corrections) (eV per atom): -7.06
Fermi-level density of states (states/eV/f.u.): 0.00
Polymorph energy (0 for the lowest one) (eV per atom): 0.000

----------

(a)
# RbVCuF6 | Alexandria via LeMat-Bulk | GGA+U | relaxed
data_RbVCuF6
_symmetry_space_group_name_H-M 'P n m a'
_symmetry_Int_Tables_number 62
_cell_length_a 6.945
_cell_length_b 7.610
_cell_length_c 10.310
_cell_angle_alpha 90.00
_cell_angle_beta 90.00
_cell_angle_gamma 90.00
loop_
_symmetry_equiv_pos_as_xyz
'x,y,z'
'-x,-y,-z'
'-x+1/2,-y,z+1/2'
'x+1/2,y,-z+1/2'
'x+1/2,-y+1/2,-z+1/2'
'-x+1/2,y+1/2,z+1/2'
'-x,y+1/2,-z'
'x,-y+1/2,z'
loop_
_atom_site_label
_atom_site_type_symbol
_atom_site_fract_x
_atom_site_fract_y
_atom_site_fract_z
Rb1 Rb 0.003 0.250 0.116
V1 V 0.000 0.000 0.500
Cu1 Cu 0.185 0.250 0.761
F1 F 0.073 0.750 0.174
F2 F 0.079 0.250 0.471
F3 F 0.123 0.501 0.668
F4 F 0.244 0.565 0.423
# DOS(E_F)	15.70	states/eV per cell
# calculated density	3.83	g/cm³


(b)
# RbVCuF6 | Alexandria via LeMat-Bulk | GGA+U | relaxed
data_RbVCuF6
_symmetry_space_group_name_H-M 'C 1 2 1'
_symmetry_Int_Tables_number 5
_cell_length_a 5.687
_cell_length_b 9.131
_cell_length_c 6.014
_cell_angle_alpha 90.00
_cell_angle_beta 92.77
_cell_angle_gamma 90.00
loop_
_symmetry_equiv_pos_as_xyz
'x,y,z'
'-x,y,-z'
'x+1/2,y+1/2,z'
'-x+1/2,y+1/2,-z'
loop_
_atom_site_label
_atom_site_type_symbol
_atom_site_fract_x
_atom_site_fract_y
_atom_site_fract_z
Rb1 Rb 0.000 0.000 0.000
V1 V 0.000 0.344 0.500
+++
ICCHP 2020
The 17th International Conference on Computers Helping People with Special Needs (ICCHP) continues the biennial series of scientific conferences in the field of Assistive Technology and Accessibility. Preconference workshops September 7th and 8th, ICCHP Conference runs September 9th to 11th 2020. This event will now be held online.